Thursday, December 31, 2020

Random Thoughts on New Year's Eve


Unless the Lord builds the house, they labor in vain who build it. 

  • FINALLY -- The year from hell is coming to a close. Of course the new year will find Satan as active as ever, but perhaps our prayers, fasting, and almsgiving can bind him and release many of those enslaved in his service. I'm praying for that! My new years resolutions are 1. to pray a Memorare for that intention every day along with the Angelus three times a day, 2. to make little acts of sacrifice for that intention, and 3. to make almsgiving in the form of practical assistance and financial aid a weekly intentional activity. 
  • I think one of the biggest obstacles to Satan's plans comes in the form of praying families. Every family that prays together and strives for holiness is a major obstacle on the road leading to hell. We are the little domestic church. Building strong families builds up the Church with a capital C and gives us the grace to grab those racing headlong for the kingdom of Satan. In my civics book in junior high there was an illustration of a community. The "building blocks" were the families in the community. Did you ever wonder why society is falling apart? Simple, the state of the family! 
  • And speaking of building, my project today is building little graham cracker houses for grandchildren (and children at heart) to decorate on Saturday. It's become a tradition and we do it most years during the holidays. "Unless the Lord builds the house, they labor in vain that build it." As I put these together I'm praying a Hail Mary for each of my dear ones who will decorate them. I'm trying to think of a game to sanctify the event. Hmmm...."If you were building your house for a saint, who would it be?" Other ideas anyone?

  • My sister just left after a two-day visit. What a delightful time! I hope she comes back soon. She's nine years younger than I am so we didn't know each other well growing up. When I left for college she was only eight, and I was only home a few summers after that and working. I was one of ten and have six living siblings since three of my four brothers have died. I pray for them all every day, but I'd like to spend more time with them as well. 

  • I probably won't stay up to watch the ball drop. Larry and I will spend some of our New Year's Eve in our little living room "chapel" with lights dimmed and candles lit praying the rosary. We'll remember all you dear ones. By reading my blog you've touched my life and I've touched yours. We are woven into the fabric of each other's tapestry. What a glorious reunion it will be for those of us who meet merrily in heaven. 

_Inserted here: materials data_
Below is DySnIr4 after structural relaxation, with properties calculated at the PBE level.

Structure (CIF):
```
data_DySnIr4
_symmetry_space_group_name_H-M 'F -4 3 m'
_symmetry_Int_Tables_number 216
_symmetry_space_group_name_Hall 'F -4 2 3'
_cell_length_a 7.547
_cell_length_b 7.547
_cell_length_c 7.547
_cell_angle_alpha 90.00
_cell_angle_beta 90.00
_cell_angle_gamma 90.00
loop_
_atom_site_label
_atom_site_type_symbol
_atom_site_fract_x
_atom_site_fract_y
_atom_site_fract_z
_atom_site_occupancy
Dy1 Dy 0.000 0.000 0.000 1
Sn1 Sn 0.250 0.250 0.750 1
Ir1 Ir 0.125 0.125 0.375 1
```


Below is AcB6Ru12 after structural relaxation, with properties calculated at the PBE level.

Structure (CIF):
```
data_AcB6Ru12
_symmetry_space_group_name_H-M 'R -3 m'
_symmetry_Int_Tables_number 166
_symmetry_space_group_name_Hall '-R 3 2"'
_cell_length_a 10.1707
_cell_length_b 10.1707
_cell_length_c 8.2094
_cell_angle_alpha 90.00
_cell_angle_beta 90.00
_cell_angle_gamma 120.00
loop_
_atom_site_label
_atom_site_type_symbol
_atom_site_fract_x
_atom_site_fract_y
_atom_site_fract_z
_atom_site_occupancy
Ac1 Ac 0.0000 0.0000 0.0000 1
B1 B 0.0347 0.5174 0.2815 1
Ru1 Ru 0.0000 0.3673 0.5000 1
Ru2 Ru 0.0904 0.1808 0.3658 1
```


# NbTc2Mo (PBE, relaxed)
data_NbTc2Mo
_symmetry_space_group_name_H-M 'F m -3 m'
_symmetry_Int_Tables_number 225
_symmetry_space_group_name_Hall '-F 4 2 3'
_cell_length_a 6.317
_cell_length_b 6.317
_cell_length_c 6.317
_cell_angle_alpha 90.00
_cell_angle_beta 90.00
_cell_angle_gamma 90.00
loop_
_atom_site_label
_atom_site_type_symbol
_atom_site_fract_x
_atom_site_fract_y
_atom_site_fract_z
_atom_site_occupancy
Nb1 Nb 0.000 0.000 0.000 1
Tc1 Tc 0.250 0.250 0.250 1
Mo1 Mo 0.000 0.000 0.500 1
# ΔE to the lowest computed polymorph = 6 meV per atom


# Sc3BiB (PBE, relaxed)
data_Sc3BiB
_symmetry_space_group_name_H-M 'C 1 2/m 1'
_symmetry_Int_Tables_number 12
_cell_length_a 7.129
_cell_length_b 9.436
_cell_length_c 6.532
_cell_angle_alpha 90.00
_cell_angle_beta 100.73
_cell_angle_gamma 90.00
loop_
_symmetry_equiv_pos_as_xyz
'x,y,z'
'-x,-y,-z'
'-x,y,-z'
'x,-y,z'
'x+1/2,y+1/2,z'
'-x+1/2,-y+1/2,-z'
'-x+1/2,y+1/2,-z'
'x+1/2,-y+1/2,z'
loop_
_atom_site_label
_atom_site_type_symbol
_atom_site_fract_x
_atom_site_fract_y
_atom_site_fract_z
_atom_site_occupancy
Sc1 Sc 0.040 0.231 0.241 1
Sc2 Sc 0.232 0.500 0.979 1
Bi1 Bi 0.240 0.500 0.461 1
B1 B 0.250 0.250 0.000 1
# ΔE to the lowest computed polymorph = 156 meV per atom


Below is KGa2TcHg after structural relaxation, with properties calculated at the PBE level.

Structure (CIF):
```
data_KGa2TcHg
_symmetry_space_group_name_H-M 'P 4/m m m'
_symmetry_Int_Tables_number 123
_symmetry_space_group_name_Hall '-P 4 2'
_cell_length_a 4.888
_cell_length_b 4.888
_cell_length_c 5.404
_cell_angle_alpha 90.00
_cell_angle_beta 90.00
_cell_angle_gamma 90.00
loop_
_atom_site_label
_atom_site_type_symbol
_atom_site_fract_x
_atom_site_fract_y
_atom_site_fract_z
_atom_site_occupancy
K1 K 0.000 0.000 0.000 1
Ga1 Ga 0.000 0.500 0.500 1


  1. Thank you, Mary Ann, and to everyone else at this site, for doing what you do.

  2. Thanks Mark and happy new year. We'll be praying our rosary shortly and will remember you and your family by name. May God fill all our hearts with grace and families with peace and joy.

  3. Thank you for a wonderful visit. I cherished the entire time and look forward to bothering you again.

  4. And Happy New Year to all you dear ones as well. Come again soon, Laura. There's so much more to do!
